Excerpt:
-- begin --
SrCa3Mn4O12 | the Materials Project | GGA+U | optimized geometry; space group = Pm, No. 6; DFT formation energy = -49.6 eV/f.u.; excess energy over the best structure of this formula in the dataset = 0.00 eV/f.u.; total magnetic moment = 0.60 μB/atom
1.0
5.388 0.000 0.000
0.000 7.622 0.000
-0.016 0.000 5.415
Sr Ca Mn O
1 3 4 12
Cartesian
0.000 0.000 0.000
2.610 0.000 2.764
2.691 3.811 2.357
5.300 3.811 5.050
2.642 1.924 5.261
2.642 5.698 5.261
5.351 1.922 2.548
5.351 5.700 2.548
0.359 3.811 2.669
1.124 1.689 4.083
1.124 5.933 4.083
1.543 1.646 1.428
1.543 5.976 1.428
2.239 3.811 5.391
2.937 0.000 5.142
3.794 2.200 3.709
3.794 5.422 3.709
4.219 2.215 0.998
4.219 5.407 0.998
4.951 0.000 2.519

Sr3Ca5Mn8O21 | the Materials Project | GGA+U | optimized geometry; space group = P1, No. 1; DFT formation energy = -92.5 eV/f.u.; total magnetic moment = 0.81 μB/atom
1.0
11.050 0.000 0.000
-0.229 11.121 0.000
-0.051 -0.104 15.646
Sr Ca Mn O
12 20 32 84
Cartesian
0.000 0.000 0.000
-0.254 11.014 11.444
0.145 -0.026 7.758
0.180 0.012 3.731
2.614 8.410 11.410
2.689 8.510 3.729
2.809 2.878 15.588
5.317 10.970 11.396
5.730 0.070 0.143
8.162 3.037 0.017
8.165 3.038 7.511
8.138 8.407 11.419
-0.100 5.985 3.681
-0.103 5.972 11.468
-0.049 5.863 15.596
-0.002 5.930 7.637
2.487 3.356 11.598
2.637 8.062 0.036
2.740 8.106 7.617
2.868 2.800 7.530
2.865 3.242 3.846
5.145 10.851 7.600
5.436 0.388 3.779
5.436 5.964 11.494
5.467 5.601 7.518
5.503 5.714 0.083
5.502 5.908 3.725
7.974 3.298 3.720
8.089 3.358 11.646
8.018 8.617 3.664
8.135 8.017 7.766
8.183 8.098 0.028
-0.161 8.491 1.815
-0.109 8.388 9.539
0.025 3.119 13.621
-0.054 8.301 13.572
-0.010 8.386 5.711
0.160 3.165 5.758
2.370 0.262 13.443
2.630 5.590 9.581
2.819 0.112 5.718
2.713 5.646 1.861
2.732 5.682 5.670
2.714 5.679 13.520
2.935 0.011 1.735
2.957 0.015 9.586
5.292 2.980 9.469
5.479 2.937 1.866
5.473 2.950 5.676
5.379 8.421 5.698
5.398 8.340 9.488
5.422 8.471 1.814
5.523 3.111 13.575
5.493 8.288 13.639
7.877 0.259 13.379
7.972 0.217 5.733
8.152 5.610 9.642
8.212 5.737 1.867
8.202 5.756 5.662
8.379 0.180 1.980
8.221 5.691 13.532
8.449 0.031 9.530
10.843 3.029 9.413
10.935 3.037 1.663
0.133 8.328 15.517
0.261 2.524 15.486
0.277 8.379 7.630
0.421 2.688 7.652
0.612 10.080 13.507
0.998 4.346 10.023
0.915 10.095 5.678
1.043 4.599 13.065
1.126 1.816 12.795
1.146 4.611 5.168
1.081 10.041 1.873
1.327 1.842 5.145
1.287 4.189 2.175
1.139 10.043 9.737
1.360 7.099 1.991
1.360 7.097 9.779
1.542 7.181 5.512
1.648 7.275 13.438
2.290 5.539 7.631
2.307 5.500 15.510
2.576 0.469 7.733
2.642 0.325 15.395
3.041 0.001 3.732
3.078 0.012 11.599
3.067 5.703 11.544
3.153 5.685 3.778
3.602 3.880 9.563
3.780 3.844 13.483
3.856 4.033 5.888
3.789 9.562 6.033
3.900 9.593 1.437
4.017 4.186 1.676
3.913 9.528 9.292
4.247 1.413 1.732
4.182 6.736 9.267
4.200 6.930 1.528
4.253 6.820 6.016
4.400 1.291 5.918
4.269 6.799 13.963
4.565 1.234 9.517
5.196 2.844 3.785
5.138 8.299 3.746
5.146 8.370 11.674
5.580 2.777 15.476
5.735 3.112 7.619
5.810 8.411 7.582
5.805 8.421 15.565
6.221 10.092 13.538
6.376 10.082 5.520
6.536 4.259 10.090
6.638 4.582 5.397
6.613 4.609 13.095
6.683 4.506 2.059
6.568 10.109 2.176
6.734 1.811 12.868
6.638 10.079 9.562
6.905 7.108 9.792
7.108 1.715 2.050
7.003 7.260 2.018
7.150 1.898 5.409
7.085 7.347 5.472
7.188 7.290 13.418
7.858 5.610 7.648
7.845 5.572 15.512
8.367 0.436 7.583
8.357 0.424 15.159
8.485 -0.034 11.593
8.582 5.727 3.772
8.591 5.697 11.596
8.581 11.004 4.135
9.210 3.995 9.613
9.329 3.845 13.606
9.285 9.740 1.553
9.446 4.218 1.790
9.491 4.000 5.709
9.454 9.573 9.299
9.693 6.834 9.346
9.719 6.945 1.563
9.706 6.983 6.049
9.783 6.797 13.868
9.990 1.354 9.693
10.017 1.428 2.008
10.571 8.475 3.802
10.656 8.372 11.621

Sr3Ca5Mn8O21 | the Materials Project | GGA+U | optimized geometry; space group = P1, No. 1; DFT formation energy = -92.6 eV/f.u.; total magnetic moment = 0.81 μB/atom
1.0
7.745 0.000 0.000
0.004 7.770 0.000
0.291 0.048 7.843
Sr Ca Mn O
3 5 8 21
Cartesian
0.000 0.000 0.000
0.284 0.102 4.019
-- stop --

What to do:
Please retype only the last part of the data further above, starting with the line that has "13.963".

Reply:
4.269 6.799 13.963
4.565 1.234 9.517
5.196 2.844 3.785
5.138 8.299 3.746
5.146 8.370 11.674
5.580 2.777 15.476
5.735 3.112 7.619
5.810 8.411 7.582
5.805 8.421 15.565
6.221 10.092 13.538
6.376 10.082 5.520
6.536 4.259 10.090
6.638 4.582 5.397
6.613 4.609 13.095
6.683 4.506 2.059
6.568 10.109 2.176
6.734 1.811 12.868
6.638 10.079 9.562
6.905 7.108 9.792
7.108 1.715 2.050
7.003 7.260 2.018
7.150 1.898 5.409
7.085 7.347 5.472
7.188 7.290 13.418
7.858 5.610 7.648
7.845 5.572 15.512
8.367 0.436 7.583
8.357 0.424 15.159
8.485 -0.034 11.593
8.582 5.727 3.772
8.591 5.697 11.596
8.581 11.004 4.135
9.210 3.995 9.613
9.329 3.845 13.606
9.285 9.740 1.553
9.446 4.218 1.790
9.491 4.000 5.709
9.454 9.573 9.299
9.693 6.834 9.346
9.719 6.945 1.563
9.706 6.983 6.049
9.783 6.797 13.868
9.990 1.354 9.693
10.017 1.428 2.008
10.571 8.475 3.802
10.656 8.372 11.621

Sr3Ca5Mn8O21 | the Materials Project | GGA+U | optimized geometry; space group = P1, No. 1; DFT formation energy = -92.6 eV/f.u.; total magnetic moment = 0.81 μB/atom
1.0
7.745 0.000 0.000
0.004 7.770 0.000
0.291 0.048 7.843
Sr Ca Mn O
3 5 8 21
Cartesian
0.000 0.000 0.000
0.284 0.102 4.019